[Input]
┌──
Record 1
Material: CePmDy2Er
Method: DFT, GGA-PBE
State: optimized geometry

a = 7.1452 Å, b = 7.7761 Å, c = 5.8678 Å
α = 90.00°, β = 90.00°, γ = 90.00°
Each line ends with the local moment (μB).
Sites, in units of the cell vectors:
Dy 0.3202 0.2916 0.2500  0.06
Ce 0.0000 0.0000 0.0000  1.02
Er 0.3898 0.0000 0.7500  0.12
Dy 0.6798 0.7084 0.7500  0.06
Ce 0.0000 0.0000 0.5000  1.02
Er 0.6102 0.0000 0.2500  0.12
Pm 0.1628 0.5000 0.7500  0.01
Dy 0.3202 0.7084 0.2500  0.06
Pm 0.8372 0.5000 0.2500  0.01
Dy 0.6798 0.2916 0.7500  0.06

- Symmetry: Pmma, No. 51
- Formation enthalpy at 0 K: 0.2883 eV per atom
- Theoretical density: 7919 kg/m³
- Fermi-level density of states: 9.7 states/eV/f.u.

Record 2
Material: KTiCu2S4
Method: DFT, GGA-PBE
State: optimized geometry

a = 6.2250 Å, b = 6.2250 Å, c = 6.2250 Å
α = 119.57°, β = 119.57°, γ = 90.75°
Sites, in units of the cell vectors:
K 0.5000 0.5000 0.0000
S 0.3648 0.9628 0.0000
S 0.6352 0.6352 0.5979
S 0.9628 0.3648 0.0000
Cu 0.2500 0.7500 0.5000
S 0.0372 0.0372 0.4021
Ti 0.0000 0.0000 0.0000
Cu 0.7500 0.2500 0.5000

- Symmetry: I-42m, No. 121
- Theoretical density: 3311 kg/m³
- Raw formation energy: -731.9 meV/atom
- Fermi-level density of states: 6.1 states/eV/f.u.

Record 3
Material: CeZrZnIn
Method: DFT, GGA-PBE
State: optimized geometry

a = 3.1672 Å, b = 3.1672 Å, c = 8.8094 Å
α = 90.00°, β = 90.00°, γ = 90.00°
Sites, in units of the cell vectors:
Zr 0.5000 0.5000 0.3409
Ce 0.5000 0.5000 0.8026
Zn 0.0000 0.0000 0.5536
In 0.0000 0.0000 0.0875

- Symmetry: P4mm, No. 99
- Formation enthalpy at 0 K: -0.2859 eV per atom
- Theoretical density: 7734 kg/m³
- Fermi-level density of states: 4.6 states/eV/f.u.
- Distance to the lowest polymorph of the same formula: 0 meV per atom

Record 4
Material: CoNi2As
Method: DFT, GGA-PBE
State: optimized geometry

a = 4.4583 Å, b = 4.4583 Å, c = 4.4583 Å
α = 132.76°, β = 132.76°, γ = 69.03°
Each line ends with the local moment (μB).
Sites, in units of the cell vectors:
Ni 0.0000 0.0000 0.0000  0.48
Co 0.7500 0.2500 0.5000  1.31
As 0.2500 0.7500 0.5000  0.03
Ni 0.5000 0.5000 0.0000  0.48

- Symmetry: I4/mmm, No. 139
- Formation enthalpy at 0 K: -0.0301 eV per atom
- Theoretical density: 8898 kg/m³
- Fermi-level density of states: 5.3 states/eV/f.u.

Record 5
Material: TbCe2Te2S2
Method: DFT, GGA-PBE
State: optimized geometry

a = 5.1156 Å, b = 5.1156 Å, c = 8.8238 Å
α = 106.85°, β = 106.85°, γ = 90.00°
Each line ends with the local moment (μB).
Sites, in units of the cell vectors:
Ce 0.6151 0.6151 0.2302  1.21
Te 0.8135 0.8135 0.6270  -0.02
Tb 0.0000 0.0000 0.0000  0.04
Te 0.1865 0.1865 0.3730  -0.02
S 0.5000 0.0000 0.0000  -0.02
Ce 0.3849 0.3849 0.7698  1.21
S 0.0000 0.5000 0.0000  -0.02

- Symmetry: I4/mmm, No. 139
- Theoretical density: 5980 kg/m³
- Raw formation energy: -1495.5 meV/atom
- Fermi-level density of states: 14.6 states/eV/f.u.

Record 6
Material: Pm3In2Hg
Method: DFT, GGA-PBE
State: optimized geometry

a = 3.7011 Å, b = 3.7011 Å, c = 12.3488 Å
α = 90.00°, β = 90.00°, γ = 90.00°
Sites, in units of the cell vectors:
In 0.5000 0.5000 0.8299
Pm 0.0000 0.0000 0.3362
Hg 0.5000 0.5000 0.5000
In 0.5000 0.5000 0.1701
Pm 0.0000 0.0000 0.6638
Pm 0.0000 0.0000 0.0000

- Symmetry: P4/mmm, No. 123
- Formation enthalpy at 0 K: -0.4893 eV per atom
- Theoretical density: 8493 kg/m³
- Fermi-level density of states: 4.4 states/eV/f.u.

~~~~~

Record 1
Here is an optimized crystal structure of La2Pm6Nd3 from Alexandria via LeMat-Bulk. Energies are from PBE.

Computed properties:
**Energy above the most stable polymorph in this dataset**: 0.000 eV per atom
**Energy of formation from the pure elements**: 0.14 eV/atom

Cell lengths 6.016, 11.683, 11.394 Å; angles 90.00, 98.06, 90.00 degrees
Space group C2/m (No. 12)
Unique sites:
La 0.000 0.140 0.000 (multiplicity 4)
Pm 0.066 0.343 0.221 (multiplicity 8)
Pm 0.086 0.000 0.267 (multiplicity 4)
Nd 0.000 0.178 0.500 (multiplicity 4)
Nd 0.000 0.500 0.500 (multiplicity 2)

=====

Record 2
└──
[Activity]
The reader should filter the calculation results further above: keep the lines with the word "cell".
[Worked solution]
Sites, in units of the cell vectors:
Sites, in units of the cell vectors:
Sites, in units of the cell vectors:
Sites, in units of the cell vectors:
Sites, in units of the cell vectors:
Sites, in units of the cell vectors: